About Partners

The United Nations Institute for Training and Research (UNITAR) provides innovative learning solutions to individuals, organizations, and institutions to enhance global decision- making and support country-level action for shaping a better future.

UNITAR’s Vision:

The vision for which the Institute aims reflects a drive for results and programming to develop the capacities of individuals, institutions, and organizations with a view to overcoming global challenges.

UNITAR’s Mission:

  • Providing high-quality learning solutions to address the capacity development needs of individuals, organizations and institutions;
  • Advising and supporting governments, the UN and other partners with knowledge services, including those that are technology-based;
  • Facilitating knowledge and experience sharing through networked and innovative processes; and
  • The vision for which the Institute aims reflects a drive for results and programming to develop the capacities of individuals, institutions and organizations with a view to overcoming global challenges.⁠Integrating innovative strategies, approaches and methodologies into our learning and related knowledge products and services.

York University is a leading international teaching and research university in Toronto, Canada, with a large and diverse student body of approximately 55,000 students from 178 countries. York University is ranked among the top 40 universities in the world for its commitment to advancing the United Nations Sustainable Development Goals (SDGs), including SDG 6: Clean Water and Sanitation for All.

As the academic lead for the UNITAR Global Water Academy, York University is home to some of the world’s foremost experts on water and water-related fields. York University has mobilized an entire community of researchers and policy experts working towards equitable access to clean freshwater in Canada and abroad and to support the mission of the UNITAR Global Water Academy, led by the Inaugural Academic Director, Professor Sapna Sharma. Researchers at York University strive to understand and develop solutions to the ongoing water sustainability crises, attract and train future leaders in the field, educate the public on water issues in Canada and around the world, and build industrial partnerships to identify key problems and solutions for safe access to clean water.  

Ontario is home to over 300,000 lakes and borders four of the Laurentian Great Lakes, which alone contain more than 20% of the world’s freshwater.  Still, even though freshwater is abundant and extensively studied in Ontario, there continue to be marginalized communities, particularly in remote and Indigenous communities who do not have safe and easy access to clean water within the province, a pattern that is unfortunately repeated throughout the world. As such, among our research strengths is our emphasis on Indigenous knowledge systems and relationships with water, environmental governance, environmental justice, and sustainable development.  Promoting social justice within and beyond our community remains a cornerstone of our university’s mission.

We at York University work at the forefront of fundamental, applied, community-based, and policy-related research on topics related to water. Moreover, we prioritize capacity-building to develop and expand the potential reach of solutions to global challenges in water management, including threats to water quality, treatment of wastewater and stormwater, and conservation of groundwater resources. Some examples of strengths in our research program include understanding the impacts of environmental stressors on freshwater systems, modelling climate change impacts on lakes, water treatment and bioremediation, emerging contaminants, light-based technologies for water purification, flood forecasting, and water management in Arctic communities and in humanitarian settings.

Our researchers identify operational challenges and collaboratively build and implement innovative and practical solutions to many of the world’s most challenging environmental problems. The ongoing global water crisis poses a great threat to both human health and wellbeing and also to economic development and poverty eradication. Our engaged students, faculty, and staff are committed to understanding and developing scientific, technological, natural, health, and social solutions to address the world’s water needs in a context of international cooperation to ensure the conservation of this essential resource for current and future generations.

United Nations University Institute for Water, Environment, and Health (UNU-INWEH) is one of the United Nations University (UNU) institutes, an academic arm of the UN. The University’s 13 research and training institutes are located in 12 countries and address a range of global development challenges. UNU-INWEH specializes on water for development, working, primarily, with countries in the Global South, and addressing water issues of global significance. Water is the entry point to all UNU-INWEH’s activities, including environment and health.

The Institute addresses primarily continental water resources challenges. UNU-INWEH works to bridge the gap between the wealth of evidence and research that exists on water resources, and the practical needs that political leaders and decision makers in low- and middle-income countries have. UNU-INWEH is linked to key processes in the UN system, and represents the entire UNU in UN-Water – a cross-agency group in the UN and international partners working on water and sanitation issues globally.

• Records of molecules, as found in the file:
********
No. 1
A structure of composition C49H39GeN10O3S2W. Source: the Open Molecules 2025 dataset; level of theory: the ωB97M-V functional and the def2-TZVPD basis.

Each line ends with the Löwdin charge.
Positions of all 105 atoms, in Å:
W  -0.790  -0.196  -0.342  1.62
N  -3.581  1.657  1.034  0.15
C  -2.927  2.131  -0.119  -0.47
N  -3.501  3.377  -0.703  0.15
C  -3.794  3.319  -2.049  -0.35
N  -4.638  4.210  -2.513  0.26
N  -3.319  2.376  -2.851  0.21
C  -2.615  1.394  -2.311  -0.27
N  -2.446  1.104  -1.031  0.05
C  -1.911  0.522  -3.255  -0.19
C  -2.173  0.572  -4.607  0.04
C  -1.391  -0.184  -5.467  0.01
C  -0.353  -0.915  -4.920  0.01
C  -0.170  -0.914  -3.548  -0.11
N  -0.958  -0.240  -2.700  0.00
H  -4.526  1.355  0.818  0.12
H  -3.643  2.389  1.733  0.11
H  -4.990  4.940  -1.914  0.14
H  -4.964  4.150  -3.466  0.14
H  -2.969  1.210  -4.959  0.13
H  -1.575  -0.183  -6.532  0.13
H  0.328  -1.479  -5.543  0.13
H  0.656  -1.454  -3.128  0.09
C  -4.331  -2.401  1.292  -0.04
C  -4.275  -3.634  0.652  -0.03
C  -3.235  -3.893  -0.220  -0.01
C  -2.275  -2.907  -0.470  -0.22
C  -2.388  -1.624  0.057  -0.23
C  -3.407  -1.414  0.986  -0.11
C  -1.020  -3.223  -1.148  -0.22
C  -0.897  -4.438  -1.865  0.03
C  0.295  -4.813  -2.379  0.04
C  1.419  -3.979  -2.188  -0.15
C  2.679  -4.333  -2.723  0.00
C  3.747  -3.491  -2.612  -0.04
C  3.582  -2.280  -1.917  -0.07
C  2.374  -1.935  -1.367  -0.15
C  1.244  -2.759  -1.497  -0.24
N  -0.001  -2.363  -0.991  0.03
H  -5.096  -2.210  2.034  0.12
H  -5.011  -4.399  0.860  0.12
H  -3.168  -4.878  -0.660  0.11
H  -3.475  -0.465  1.494  0.07
H  -1.767  -5.057  -2.009  0.12
H  0.399  -5.736  -2.937  0.14
H  2.769  -5.283  -3.237  0.13
H  4.705  -3.749  -3.044  0.12
H  4.421  -1.602  -1.813  0.11
H  2.313  -1.042  -0.775  -0.02
O  -0.668  2.260  6.870  0.14
N  -0.319  1.275  6.272  -0.33
O  0.248  0.309  6.746  0.10
C  -0.572  1.242  4.810  -0.04
C  -0.849  2.420  4.200  0.10
C  -1.007  2.546  2.783  -0.10
C  -1.426  3.863  2.273  -0.01
C  -1.935  4.224  1.094  0.01
C  -2.145  3.380  -0.109  -0.15
N  -0.643  1.270  0.672  -0.13
C  -0.753  1.418  2.041  -0.25
C  -0.594  0.169  2.683  -0.17
N  -0.547  -0.866  1.807  -0.03
C  -0.480  -2.099  2.302  -0.18
C  -0.439  -2.349  3.672  -0.01
C  -0.447  -1.298  4.569  0.08
C  -0.515  0.018  4.074  -0.04
H  -0.931  3.301  4.825  0.14
H  -1.357  4.650  3.016  0.13
H  -2.211  5.266  0.963  0.13
H  -1.327  3.416  -0.827  0.13
H  -0.505  -2.914  1.589  0.12
H  -0.403  -3.371  4.023  0.13
H  -0.409  -1.480  5.632  0.13
Ge  1.390  1.177  -1.115  0.89
C  1.084  3.067  -1.439  -0.38
C  0.969  3.539  -2.744  -0.12
C  0.944  4.907  -2.997  -0.06
C  1.016  5.807  -1.944  -0.06
C  1.124  5.343  -0.637  -0.06
C  1.148  3.980  -0.386  -0.14
C  2.914  1.058  0.131  -0.37
C  2.773  1.202  1.514  -0.18
C  3.876  1.150  2.363  -0.09
C  5.139  0.915  1.839  -0.07
C  5.299  0.772  0.465  -0.06
C  4.196  0.839  -0.378  -0.12
H  2.067  0.738  -2.438  0.01
H  0.930  2.840  -3.574  0.09
********

UNU-INWEH’s research has a diverse range of partners and stakeholders, including politicians and policymakers in developing countries, concerned with water, health and environment issues; donors and implementing agencies from the North and the South; scientific community in water-related research institutions and academia; UN agencies and other international and regional organizations and networks; host country and national partners in Canada, media; and civil society. UNU-INWEH was established in 1996, as a public service agency and a subsidiary body of the UNU. Its operations are secured through long-term host-country and core- funding agreements with the Government of Canada. The Institute is located in Hamilton, Canada; its facilities are supported by McMaster University. UNU-INWEH is the only Institute in UNU that focuses entirely and solely on water issues. It is also the only entirely water-focused UN entity in Canada.

Nova School of Business & Economics (Nova SBE) is a business school located in Portugal that offers a wide range of academic programs. Founded in 1978, the school has approximately 3,000 students from over 70 different countries. Nova SBE is a dynamic business and economics school. They are engaged in searching for highly-qualified professionals who thrive in a fast-paced institution.

The University of Victoria (UVic) is one of Canada’s leading research-intensive universities. We are located in Victoria, on the BC coast. At UVic, they combine three main elements: dynamic learning, vital impact, and their extraordinary academic environment.  Together, these three elements nurture an environment of discovery innovation, and creativity.

This fortifies their work in sustainability and healthy societies. It shapes UVic’s worldview with diverse perspectives, including those from Indigenous and international communities. It fuels their commitment to economic well-being, technological advances, and social justice.

The University of Public Service (UPS; Nemzeti Közszolgálati Egyetem) is a higher educational institution in Budapest, Hungary. Established in 2012, it is one of the youngest universities  in Central and Eastern Europe; however, its faculties as former independent colleges look back much earlier. 

The university was officially founded on 1 January 2012 through the merger of the Zrínyi Miklós National Defence University (becoming the Faculty of Military Sciences and Officer Training), the Police College (becoming the Faculty of Law Enforcement) and the Faculty of Public Administration of Corvinus University of Budapest (becoming the Faculty of Public Administration at UPS). In addition to these faculties, UPS includes institutions that function as educational organs and think tanks and is initiating its fourth faculty of European and international studies.

The university’s primary goal is to educate future public administration officials, military and law enforcement officers (through BA and MA programmes) and to develop the skills and know-how of current members of public service (through further training programmes). Moreover, UPS also functions as a think tank for public service (through PhD programmes, joint conferences, and individual research activities of lecturers).

Nanyang Technological University ( NTU, Singapore): A research-intensive public university has 33,000 undergraduate and postgraduate students in the Engineering, Business, Science, Medicine, Humanities, Arts, & Social Sciences, and Graduate colleges.

NTU is also home to world-renowned autonomous institutes – the National Institute of Education, S Rajaratnam School of International Studies and Singapore Centre for Environmental Life Sciences Engineering – and various leading research centres such as the Earth Observatory of Singapore, Nanyang Environment & Water Research Institute and Energy Research Institute @ NTU (ERI@N). Under the NTU Smart Campus vision, the University harnesses the power of digital technology and tech-enabled solutions to support better learning and living experiences, the discovery of new knowledge, and the sustainability of resources.

Ranked amongst the world’s top universities, the University’s main campus is also frequently listed among the world’s most beautiful. Known for its sustainability, NTU has achieved 100% Green Mark Platinum certification for all its eligible building projects. Apart from its main campus, NTU also has a medical campus in Novena, Singapore’s healthcare district.

The Asian Institute of Technology (AIT) is an international English-speaking postgraduate institution, focusing on engineering, environment, and management studies. AIT’s rigorous academic, research, and experiential outreach programs prepare graduates for professional success and leadership roles in Asia and beyond.  Founded in 1959, AIT offers the opportunity to study at an institution in Asia which possesses a global reputation.

Going forward, AIT will be stressing its global connections, injection  of innovation into research and teaching, its relevance to industry, and its nurturing of entrepreneurship, while continuing to fulfill its social impact and capacity building role. Sitting on a beautiful green campus located just north of Bangkok, Thailand, AIT operates as a multicultural community where a cosmopolitan approach to living and learning is the rule.

You will meet and study with people from all around the world.  Today, AIT’s internationally recognized engineering, environment, and management graduates are highly sought after by employers in their home countryand elsewhere. Across many walks of life in Asia, AIT alumni have distinguished themselves as CEO’s of private and state enterprises, as business owners, as well-respected researchers and faculty, and as senior university and government officials.

The Global Water Partnership (GWP) is a global action network with over 3,000 Partner organisations in 180 countries. The network has 77 accredited Country Water Partnerships and 13 Regional Water Partnerships. The network is open to all organisations involved in water resources management: developed and developing country government institutions, agencies of the United Nations, bi- and multi-lateral development banks, professional associations, research institutions, non-governmental organisations, and the private sector.

GWP’s action network provides knowledge and builds capacity to improve water management at all levels: global, regional, national and local. GWP does not operate alone. Its networking approach provides  a mechanism for coordinated action and adds value to the work of many other key development partners in government, civil society, and the commercial sector to engage with each other to solve water problems.

The University of Newcastle Australia is a comprehensive university of and for our regions, we have delivered superior education and world-class research since 1965.  We are based in the Hunter Valley and the Central Coast in New South Wales, and our purpose is to deliver an exceptional student experience, preparing graduates for life in an increasingly interconnected society. 

We serve our regions by taking research that matters to the world and bringing our global expertise home. Recognising water is a basic component of human existence and the support system on which people, economies and ecosystems depend. Our academics study the importance of water to ecosystems and humans, its use and management as a resource and its modification through contamination and pollution. TheUniversity of Newcastle focuses on monitoring, understanding and dealing with the impacts of climate variability and change in the Asia-Pacific region.

The impacts on indigenous and developing communities in the region are a particular focus. We work with water authorities and universities in the region to achieve our goals in research and training.

The major water challenges we address are:

  1. Managing the impacts of climate variability and change on the quality and quantity of water resources and water redistribution within rural, urban and natural landscapes;
  2. Modelling, restoring and/or rehabilitating rivers and catchments.
  3. The water and energy nexus, health and food security. Other areas of expertise include industrial water reuse, extreme event (flood, drought, bushfire) risk analysis, hydrological and stochastic modelling, and water resources management.  We have identified that the broad priority areas for the global water industry are; improving service resilience, water efficiency, community engagement, climate change adaptation, decision making, safeguarding drinking water and environmental improvement.

IRC is an international think tank actively building strong water, sanitation and hygiene systems – from the bottom up and the top down. We exist to support countries to build strong local and national services, underpinned by resilient systems, that transform lives and build equity, justice and opportunity for all.

With just seven years left to achieve UN Sustainable Development Goal (SDG) 6: Clean Water and Sanitation for All by 2030, IRC, Water For People and Water for Good, have joined forces to drive rapid progress in the delivery of water and sanitation services in 15 countries and reach 200 million people over the next decade. Through our newly formed One For All alliance, we have established “Destination 2030,” our vision to play our part in achieving SDG 6.

The Destination 2030 vision is clear: the pursuit of justice and opportunity for all through the delivery of safe water, sanitation, and hygiene services.  A simple truth drives us – we can do more together,  and do it faster than we can alone.